_Material_
- - -
Theoretical PXRD pattern
Compound: KMg15
Radiation: Cu Kα, 1.54184 Å
Structure: DFT lattice parameters and positions (GGA-PBE)
Kinematic intensities with the Lorentz-polarization factor, no thermal factor.

Largest 10 diffraction maxima, by intensity, 2θ = 10–90°:
2θ (°)  d/Å  Rel. int.
35.93  2.500  100
33.53  2.673  27
31.64  2.828  24
67.19  1.393  19
61.51  1.508  18
56.35  1.633  17
46.77  1.942  15
68.66  1.367  13
88.22  1.108  6
76.17  1.250  3

Structural model:
Unit cell a=6.531 b=6.531 c=10.691 alpha=90.00 beta=90.00 gamma=120.00
Atoms (fractional coordinates):
K: 0.000 0.000 0.000
Mg: 0.000 0.000 0.500
Mg: 0.006 0.503 0.500
Mg: 0.333 0.667 0.242
Mg: 0.333 0.667 0.758
Mg: 0.341 0.171 0.260
Mg: 0.341 0.171 0.740
Mg: 0.497 0.503 0.500
Mg: 0.497 0.994 0.500
Mg: 0.504 0.009 0.000
Mg: 0.504 0.496 0.000
Mg: 0.829 0.171 0.260
Mg: 0.829 0.171 0.740
Mg: 0.829 0.659 0.260
Mg: 0.829 0.659 0.740
Mg: 0.991 0.496 0.000

=====

LaGa3Ir2: theoretical XRD peak list (Cu Kα, 1.54184 Å), based on the PBE geometry in Alexandria.

Most intense lines, 10 to 80 degrees two-theta, in order of rising 2θ:
| two_theta | I/Imax |
| --- | --- |
| 27.99 | 36.1 |
| 30.44 | 39.9 |
| 32.99 | 41.1 |
| 34.42 | 68.0 |
| 34.59 | 100.0 |
| 35.20 | 37.0 |
| 43.08 | 48.1 |
| 43.49 | 50.6 |
| 43.68 | 75.4 |
| 44.66 | 46.6 |

Atomic structure:
Cell: 16.8212 4.1445 9.9848 Å, 90.00 104.42 90.00°
Space group C2/m (No. 12)
Unique sites:
La1 0.0000 0.0000 0.0000
La2 0.1509 0.0000 0.6987
Ga1 0.0000 0.5000 0.5000
Ga2 0.0518 0.0000 0.3592
Ga3 0.1447 0.5000 0.1953
Ga4 0.1504 0.5000 0.9397
Ga5 0.2219 0.0000 0.3770
Ir1 0.0095 0.5000 0.7760
Ir2 0.1408 0.5000 0.4461
Ir3 0.2066 0.0000 0.0947

La4Ga2Ir: theoretical XRD peak list (Cu Kα, 1.54184 Å), based on the PBE geometry in Alexandria.

Most intense lines, 10 to 80 degrees two-theta, in order of rising 2θ:
| two_theta | I/Imax |
| --- | --- |
| 11.73 | 42.2 |
| 26.33 | 23.7 |
| 27.72 | 29.4 |
| 28.59 | 100.0 |
| 33.46 | 49.7 |
| 35.44 | 45.9 |
| 42.96 | 40.7 |
| 44.02 | 20.3 |
| 44.60 | 25.8 |
| 47.22 | 19.7 |

Atomic structure:
Cell: 13.1921 10.6265 7.6995 Å, 90.00 125.70 90.00°
Space group C2 (No. 5)
Unique sites:
La1 0.9998 0.0000 0.2305
La2 0.9998 0.4007 0.2695
La3 0.2277 0.6577 0.2279
La4 0.2287 0.7438 0.7285
Ga1 0.9999 0.7000 0.2524
Ga2 0.2501 0.4502 0.7494
Ir1 0.0000 0.1810 0.5000
Ir2 0.0000 0.2196 0.0000

LaGa2Ir: theoretical XRD peak list (Cu Kα, 1.54184 Å), based on the PBE geometry in Alexandria.

Most intense lines, 10 to 80 degrees two-theta, in order of rising 2θ:
| two_theta | I/Imax |
| --- | --- |
| 25.82 | 37.1 |
| 34.50 | 61.5 |
| 34.62 | 31.2 |
| 34.71 | 100.0 |
| 37.28 | 29.6 |
| 37.74 | 26.8 |
| 41.62 | 37.0 |
| 43.70 | 25.3 |
| 51.49 | 23.2 |
| 73.04 | 25.9 |

Atomic structure:
Cell: 15.8277 6.9017 5.9559 Å, 90.00 90.00 90.00°
Space group Pnma (No. 62)
Unique sites:
La1 0.1003 0.2500 0.2245
La2 0.1442 0.7500 0.4567
Ga1 0.0439 0.0583 0.7403
Ga2 0.2064 0.5568 0.9357
Ir1 0.0651 0.7500 0.0028
Ir2 0.1882 0.2500 0.6893

La3Ga2Ir7: theoretical XRD peak list (Cu Kα, 1.54184 Å), based on the PBE geometry in Alexandria.

Most intense lines, 10 to 80 degrees two-theta, in order of rising 2θ:
| two_theta | I/Imax |
| --- | --- |
| 18.72 | 22.9 |
| 34.21 | 34.7 |
| 37.43 | 59.6 |
| 37.96 | 33.9 |
| 38.88 | 100.0 |
| 41.55 | 53.9 |
| 43.49 | 26.9 |
| 45.36 | 26.3 |
| 61.77 | 40.4 |
| 67.16 | 36.0 |

Atomic structure:
Cell: 5.5751 5.5751 24.9716 Å, 90.00 90.00 120.00°
Space group R-3m (No. 166, hexagonal axes)
Unique sites:
La1 0.0000 0.0000 0.0000
La2 0.0000 0.0000 0.1406
Ga1 0.0000 0.0000 0.3352
Ir1 0.0000 0.0000 0.5000
Ir2 0.0043 0.5021 0.9189

=====

[1]
Diffraction record for Cd2SiP4O14. The powder XRD pattern is computed, not measured: it uses a DFT-relaxed cell (GGA-PBE, Alexandria) and Cu Ka.

Structural model:
```
Cd2SiP4O14
1.0
9.1312 -2.8447 0.0000
9.1312 2.8447 0.0000
-3.5488 0.0000 12.5079
Cd Si P O
4 2 8 28
direct
0.1657 0.2892 0.1319 Cd
0.2892 0.1657 0.6319 Cd
0.7108 0.8343 0.3681 Cd
- - -
_Work order_
Retype the whole of the notes earlier on unchanged, please.
_Solution_
Theoretical PXRD pattern
Compound: KMg15
Radiation: Cu Kα, 1.54184 Å
Structure: DFT lattice parameters and positions (GGA-PBE)
Kinematic intensities with the Lorentz-polarization factor, no thermal factor.

Largest 10 diffraction maxima, by intensity, 2θ = 10–90°:
2θ (°)  d/Å  Rel. int.
35.93  2.500  100
33.53  2.673  27
31.64  2.828  24
67.19  1.393  19
61.51  1.508  18
56.35  1.633  17
46.77  1.942  15
68.66  1.367  13
88.22  1.108  6
76.17  1.250  3

Structural model:
Unit cell a=6.531 b=6.531 c=10.691 alpha=90.00 beta=90.00 gamma=120.00
Atoms (fractional coordinates):
K: 0.000 0.000 0.000
Mg: 0.000 0.000 0.500
Mg: 0.006 0.503 0.500
Mg: 0.333 0.667 0.242
Mg: 0.333 0.667 0.758
Mg: 0.341 0.171 0.260
Mg: 0.341 0.171 0.740
Mg: 0.497 0.503 0.500
Mg: 0.497 0.994 0.500
Mg: 0.504 0.009 0.000
Mg: 0.504 0.496 0.000
Mg: 0.829 0.171 0.260
Mg: 0.829 0.171 0.740
Mg: 0.829 0.659 0.260
Mg: 0.829 0.659 0.740
Mg: 0.991 0.496 0.000

=====

LaGa3Ir2: theoretical XRD peak list (Cu Kα, 1.54184 Å), based on the PBE geometry in Alexandria.

Most intense lines, 10 to 80 degrees two-theta, in order of rising 2θ:
| two_theta | I/Imax |
| --- | --- |
| 27.99 | 36.1 |
| 30.44 | 39.9 |
| 32.99 | 41.1 |
| 34.42 | 68.0 |
| 34.59 | 100.0 |
| 35.20 | 37.0 |
| 43.08 | 48.1 |
| 43.49 | 50.6 |
| 43.68 | 75.4 |
| 44.66 | 46.6 |

Atomic structure:
Cell: 16.8212 4.1445 9.9848 Å, 90.00 104.42 90.00°
Space group C2/m (No. 12)
Unique sites:
La1 0.0000 0.0000 0.0000
La2 0.1509 0.0000 0.6987
Ga1 0.0000 0.5000 0.5000
Ga2 0.0518 0.0000 0.3592
Ga3 0.1447 0.5000 0.1953
Ga4 0.1504 0.5000 0.9397
Ga5 0.2219 0.0000 0.3770
Ir1 0.0095 0.5000 0.7760
Ir2 0.1408 0.5000 0.4461
Ir3 0.2066 0.0000 0.0947

La4Ga2Ir: theoretical XRD peak list (Cu Kα, 1.54184 Å), based on the PBE geometry in Alexandria.

Most intense lines, 10 to 80 degrees two-theta, in order of rising 2θ:
| two_theta | I/Imax |
| --- | --- |
| 11.73 | 42.2 |
| 26.33 | 23.7 |
| 27.72 | 29.4 |
| 28.59 | 100.0 |
| 33.46 | 49.7 |
| 35.44 | 45.9 |
| 42.96 | 40.7 |
| 44.02 | 20.3 |
| 44.60 | 25.8 |
| 47.22 | 19.7 |

Atomic structure:
Cell: 13.1921 10.6265 7.6995 Å, 90.00 125.70 90.00°
Space group C2 (No. 5)
Unique sites:
La1 0.9998 0.0000 0.2305
La2 0.9998 0.4007 0.2695
La3 0.2277 0.6577 0.2279
La4 0.2287 0.7438 0.7285
Ga1 0.9999 0.7000 0.2524
Ga2 0.2501 0.4502 0.7494
Ir1 0.0000 0.1810 0.5000
Ir2 0.0000 0.2196 0.0000

LaGa2Ir: theoretical XRD peak list (Cu Kα, 1.54184 Å), based on the PBE geometry in Alexandria.

Most intense lines, 10 to 80 degrees two-theta, in order of rising 2θ:
| two_theta | I/Imax |
| --- | --- |
| 25.82 | 37.1 |
| 34.50 | 61.5 |
| 34.62 | 31.2 |
| 34.71 | 100.0 |
| 37.28 | 29.6 |
| 37.74 | 26.8 |
| 41.62 | 37.0 |
| 43.70 | 25.3 |
| 51.49 | 23.2 |
| 73.04 | 25.9 |

Atomic structure:
Cell: 15.8277 6.9017 5.9559 Å, 90.00 90.00 90.00°
Space group Pnma (No. 62)
Unique sites:
La1 0.1003 0.2500 0.2245
La2 0.1442 0.7500 0.4567
Ga1 0.0439 0.0583 0.7403
Ga2 0.2064 0.5568 0.9357
Ir1 0.0651 0.7500 0.0028
Ir2 0.1882 0.2500 0.6893

La3Ga2Ir7: theoretical XRD peak list (Cu Kα, 1.54184 Å), based on the PBE geometry in Alexandria.

Most intense lines, 10 to 80 degrees two-theta, in order of rising 2θ:
| two_theta | I/Imax |
| --- | --- |
| 18.72 | 22.9 |
| 34.21 | 34.7 |
| 37.43 | 59.6 |
| 37.96 | 33.9 |
| 38.88 | 100.0 |
| 41.55 | 53.9 |
| 43.49 | 26.9 |
| 45.36 | 26.3 |
| 61.77 | 40.4 |
| 67.16 | 36.0 |

Atomic structure:
Cell: 5.5751 5.5751 24.9716 Å, 90.00 90.00 120.00°
Space group R-3m (No. 166, hexagonal axes)
Unique sites:
La1 0.0000 0.0000 0.0000
La2 0.0000 0.0000 0.1406
Ga1 0.0000 0.0000 0.3352
Ir1 0.0000 0.0000 0.5000
Ir2 0.0043 0.5021 0.9189

=====

[1]
Diffraction record for Cd2SiP4O14. The powder XRD pattern is computed, not measured: it uses a DFT-relaxed cell (GGA-PBE, Alexandria) and Cu Ka.

Structural model:
```
Cd2SiP4O14
1.0
9.1312 -2.8447 0.0000
9.1312 2.8447 0.0000
-3.5488 0.0000 12.5079
Cd Si P O
4 2 8 28
direct
0.1657 0.2892 0.1319 Cd
0.2892 0.1657 0.6319 Cd
0.7108 0.8343 0.3681 Cd